• Firecracker 4,  Race Re-Cap,  Races,  Restaurant Reviews,  Running

    Fourth of July 2010 – Part 2: Firecracker 4

    After Saturday’s pig roast, Sunday Chris and I were all set to run in the Firecracker 4, a four mile race in Saratoga Springs. So far, this race has been my longest! I ran the Workforce Team Challenge back in May, which was 3.5 miles. I was thinking that four miles would be a breeze. 🙂 After picking up our packets and bringing them back to the car, we headed to where the start line was, right on one of the main roads in Saratoga. There were so many people running this race! I thought it was kind of funny that there were even mascots running this race! It was…

  • Food,  Holidays,  Wine

    Fourth of July 2010 – Part 1: Pig Roast

    Holy crap, what a busy weekend! I was so busy, in fact, I have to split this weekend’s post into two different parts! Hope everyone else had a fantastic fourth of July! I know I did! 😀 Saturday, my family and I were invited to a Pig Roast/BBQ Cookout to celebrate July 4th. It was a huge party, with 80+ people attending! The party was at my cousins’ house and they had a whole tiki theme going on, which was so cute! And they had tons of food, like you wouldn’t believe. The main attraction was a whole pig on a spit, but since I don’t eat meat, I didn’t…

  • Baking,  Food,  Running,  Training,  Travel

    Long runs, beaches, and chocolate zucchini cupcakes

    Things I like to do on my day off: lay on the beach, go for an 8 mile run, and bake chocolate zucchini cupcakes. Not in that order. 😀 This morning I woke up and knew I had to do my long run today, because there was no way I was running that much on the Fourth of July. I have too many plans and a four mile race that morning! I fueled with some peanut butter toast and honey, with some chia seeds sprinkled on top, and a cup of green tea. And I was ready to go. Miles 1 – 4 on treadmill in 44:45. Felt great. Mile…

  • Food,  Restaurant Reviews

    A Picnic and some Chipotle

[Misplaced calculated crystals]
........
## CsLaAl2Pd (PBE)

Data for a geometry-optimized CsLaAl2Pd structure.

abc: 5.040 5.663 5.040
angles: 90.00 90.00 90.00
Element x y z (fractional)
Al: 0.000 0.000 0.500
Al: 0.500 0.000 0.000
Pd: 0.000 0.000 0.000
Cs: 0.500 0.500 0.500
La: 0.000 0.500 0.000

Values from the calculation:
SG = P4/mmm
crystal system = tetragonal
energy = -18.61 eV per cell

=====

## CsLaAl2Ru (PBE)

Data for a geometry-optimized CsLaAl2Ru structure.

abc: 5.708 6.314 5.708
angles: 90.00 90.00 90.00
Element x y z (fractional)
Al: 0.000 0.000 0.500
Al: 0.500 0.000 0.000
Cs: 0.000 0.500 0.000
Ru: 0.500 0.500 0.500
La: 0.000 0.000 0.000

Values from the calculation:
SG = P4/mmm
crystal system = tetragonal
energy = -13.30 eV per cell

=====

## Cs3La3AlS8 (PBE)

Data for a geometry-optimized Cs3La3AlS8 structure.

abc: 8.366 8.371 9.507
angles: 116.17 90.00 119.98
Element x y z (fractional)
S: 0.763 0.966 0.668
S: 0.237 0.034 0.332
S: 0.798 0.034 0.332
S: 0.798 0.595 0.332
S: 0.271 0.541 0.312
S: 0.202 0.966 0.668
S: 0.202 0.405 0.668
S: 0.729 0.459 0.688
La: 0.500 0.000 0.500
La: 0.500 0.500 0.500
La: 0.000 0.500 0.500
Al: 0.000 0.000 0.500
Cs: 0.000 0.500 0.000
Cs: 0.000 0.000 0.000
Cs: 0.500 0.500 0.000

Values from the calculation:
SG = C2/m
uncorrected formation energy = -1548 meV per atom
crystal system = monoclinic

=====

## Cs2LaAlS4 (PBE)

Data for a geometry-optimized Cs2LaAlS4 structure.

abc: 8.240 8.240 8.591
angles: 107.30 107.30 92.32
Element x y z (fractional)
Cs: 0.000 0.000 0.500
Cs: 0.500 0.000 0.500
Cs: 0.500 0.000 0.000
Cs: 0.500 0.500 0.000
S: 0.152 0.182 0.928
S: 0.758 0.372 0.645
S: 0.682 0.652 0.428
S: 0.128 0.742 0.855
S: 0.318 0.348 0.572
S: 0.848 0.818 0.072
S: 0.872 0.258 0.145
S: 0.242 0.628 0.355
La: 0.000 0.500 0.500
La: 0.000 0.500 0.000
Al: 0.000 0.000 0.000
Al: 0.500 0.500 0.500

Values from the calculation:
SG = C2/c
uncorrected formation energy = -1273 meV per atom
crystal system = monoclinic

=====

## Cs4La3AlS8 (PBE)

Data for a geometry-optimized Cs4La3AlS8 structure.

abc: 8.412 9.412 8.415
angles: 116.57 119.99 90.00
Element x y z (fractional)
La: 0.500 0.500 0.500
La: 0.500 0.500 0.000
La: 0.000 0.500 0.500
S: 0.791 0.324 0.033
S: 0.759 0.676 0.967
S: 0.210 0.677 0.419
S: 0.270 0.309 0.540
S: 0.241 0.324 0.033
S: 0.209 0.676 0.967
S: 0.790 0.323 0.581
S: 0.730 0.691 0.460
Al: 0.000 0.500 0.000
Cs: 0.500 0.000 0.000
Cs: 0.500 0.000 0.500
Cs: 0.000 0.000 0.000
Cs: 0.000 0.000 0.500

Values from the calculation:
SG = C2/m
uncorrected formation energy = -1605 meV per atom
crystal system = monoclinic

=====

## CsLaAlS3 (PBE)

Data for a geometry-optimized CsLaAlS3 structure.

abc: 4.687 8.222 9.386
angles: 102.68 90.00 106.56
Element x y z (fractional)
S: 0.506 0.013 0.297
S: 0.853 0.706 0.233
S: 0.837 0.674 0.631
S: 0.147 0.294 0.767
S: 0.163 0.326 0.369
S: 0.494 0.987 0.703
La: 0.354 0.708 0.436
La: 0.646 0.292 0.564
Al: 0.002 0.004 0.356
Al: 0.998 0.996 0.644
Cs: 0.359 0.719 0.942
Cs: 0.641 0.281 0.058
........

    Well, today was my work picnic! I’ve only gone to one picnic since I began working at my Department, and that was two years ago. I missed last year because it was the same day as the DMB concert, so I decided to go to this year’s picnic. I knew not to expect much from the food at this place because it didn’t have that great of a reputation, and as suspected, it wasn’t great. They had hot dogs, hamburgers, raw clams, wings and ribs, all of which I don’t eat. However, a veggie burger saved my day! Although I wish I knew what was in it. I could see…

  • Monthly Recap

    June Recap

    Happy July 1st!! I can’t believe it is already July. Before we know it, it will be fall. But lets not think about that right now! Recap for June 2010 Running Total for Month: 90.63 miles, and 14:44:17 total time recorded. These are the most miles I’ve run per month yet. I’m so impressed with myself! Three long runs Two races ran the Freihofer’s Run for Women in 27:18 ran the Pride 5K in 26:10 and set my new PR! Other I also did some hiking, started yoga meltdown, took a yoga class at Indian Ladder Farms, went to a sushi party, and went to a local food festival. I’m starting off July with my work…